## What to do
Type out the part of the material further down that starts with the line with "(1)" and stops after the one with "182", please.
## Given
+++
(1)
The following is a computed powder X-ray diffraction pattern of Na2Tl4CdPb. It was derived from a crystal structure in Alexandria, relaxed with GGA-PBE, using a wavelength of 1.5418 Å.
No peak broadening, texture or thermal motion is included.

Peak list (10 most intense, 10 to 80 degrees two-theta, sorted by position)
| d (Å) | two_theta | I (rel.) |
| --- | --- | --- |
| 5.812 | 15.2 | 323 |
| 4.089 | 21.7 | 466 |
| 3.483 | 25.6 | 340 |
| 3.033 | 29.5 | 541 |
| 2.944 | 30.4 | 942 |
| 2.731 | 32.8 | 1000 |
| 2.435 | 36.9 | 493 |
| 2.332 | 38.6 | 274 |
| 2.058 | 44.0 | 340 |
| 1.572 | 58.8 | 317 |

Crystal structure
a = 4.869 Å, b = 12.441 Å, c = 16.319 Å
α = 90.00°, β = 90.00°, γ = 90.00°
Space group Cmcm (No. 63)
Inequivalent atoms, fractional coordinates:
Na 0.000 0.195 0.085 x8
Tl 0.000 0.056 0.250 x4
Tl 0.000 0.115 0.603 x8
Tl 0.000 0.500 0.000 x4
Cd 0.000 0.300 0.750 x4
Pb 0.000 0.373 0.250 x4

(2)
The following is a computed powder X-ray diffraction pattern of Na2TlCdPb. It was derived from a crystal structure in Alexandria, relaxed with GGA-PBE, using a wavelength of 1.5418 Å.
No peak broadening, texture or thermal motion is included.

Peak list (10 most intense, 10 to 80 degrees two-theta, sorted by position)
| d (Å) | two_theta | I (rel.) |
| --- | --- | --- |
| 4.970 | 17.8 | 539 |
| 4.167 | 21.3 | 297 |
| 2.809 | 31.9 | 1000 |
| 2.623 | 34.2 | 821 |
| 2.604 | 34.4 | 275 |
| 1.923 | 47.3 | 174 |
| 1.911 | 47.6 | 254 |
| 1.547 | 59.8 | 220 |
| 1.507 | 61.5 | 152 |
| 1.410 | 66.3 | 149 |

Crystal structure
a = 3.261 Å, b = 5.207 Å, c = 16.670 Å
α = 90.00°, β = 90.00°, γ = 90.00°
Space group Imm2 (No. 44)
Inequivalent atoms, fractional coordinates:
Na 0.000 0.000 0.000 x2
Na 0.000 0.500 0.299 x2
Tl 0.000 0.000 0.416 x2
Cd 0.000 0.500 0.106 x2
Pb 0.000 0.500 0.694 x2

(3)
The following is a computed powder X-ray diffraction pattern of NaTl5CdPb2. It was derived from a crystal structure in Alexandria, relaxed with GGA-PBE, using a wavelength of 1.5418 Å.
No peak broadening, texture or thermal motion is included.

Peak list (10 most intense, 10 to 80 degrees two-theta, sorted by position)
| d (Å) | two_theta | I (rel.) |
| --- | --- | --- |
| 2.834 | 31.6 | 846 |
| 2.794 | 32.0 | 1000 |
| 2.724 | 32.9 | 493 |
| 2.550 | 35.2 | 314 |
| 2.148 | 42.1 | 185 |
| 1.862 | 48.9 | 234 |
| 1.687 | 54.4 | 216 |
| 1.593 | 57.9 | 177 |
| 1.586 | 58.2 | 182 |
| 1.442 | 64.6 | 273 |

Crystal structure
a = 3.368 Å, b = 16.347 Å, c = 9.908 Å
α = 90.00°, β = 99.77°, γ = 90.00°
Space group P2_1 (No. 4)
Inequivalent atoms, fractional coordinates:
Na 0.039 0.000 0.077 x2
Tl 0.037 0.681 0.074 x2
Tl 0.195 0.345 0.390 x2
Tl 0.205 0.008 0.410 x2
Tl 0.206 0.684 0.413 x2
Tl 0.469 0.845 0.936 x2
Cd 0.368 0.346 0.735 x2
Pb 0.373 0.018 0.750 x2
Pb 0.378 0.670 0.756 x2

(4)
The following is a computed powder X-ray diffraction pattern of Na16Cd12Pd. It was derived from a crystal structure in Alexandria, relaxed with GGA-PBE, using a wavelength of 1.5418 Å.
No peak broadening, texture or thermal motion is included.

Peak list (10 most intense, 10 to 80 degrees two-theta, sorted by position)
| d (Å) | two_theta | I (rel.) |
| --- | --- | --- |
| 8.054 | 11.0 | 517 |
| 4.869 | 18.2 | 1000 |
| 4.718 | 18.8 | 763 |
| 4.688 | 18.9 | 999 |
| 2.734 | 32.8 | 842 |
| 2.716 | 33.0 | 566 |
| 2.693 | 33.3 | 652 |
| 2.553 | 35.1 | 614 |
| 2.454 | 36.6 | 809 |
| 2.436 | 36.9 | 847 |

Crystal structure
a = 11.640 Å, b = 16.049 Å, c = 9.995 Å
α = 90.00°, β = 123.22°, γ = 90.00°
Space group Cm (No. 8)
Inequivalent atoms, fractional coordinates:
Na 0.000 0.000 0.000 x2
Na 0.010 0.000 0.369 x2
Na 0.033 0.309 0.673 x4
Na 0.059 0.387 0.395 x4
Na 0.210 0.207 0.042 x4
Na 0.314 0.000 0.071 x2
Na 0.328 0.320 0.372 x4
Na 0.354 0.340 0.779 x4
Na 0.406 0.000 0.686 x2
Na 0.449 0.146 0.959 x4
Cd 0.000 0.191 0.187 x4
Cd 0.106 0.093 0.721 x4
Cd 0.167 0.500 0.207 x2
Cd 0.198 0.185 0.546 x4
Cd 0.242 0.408 0.997 x4
Cd 0.260 0.091 0.336 x4
Cd 0.331 0.500 0.571 x2
+++
## Solution
(1)
The following is a computed powder X-ray diffraction pattern of Na2Tl4CdPb. It was derived from a crystal structure in Alexandria, relaxed with GGA-PBE, using a wavelength of 1.5418 Å.
No peak broadening, texture or thermal motion is included.

Peak list (10 most intense, 10 to 80 degrees two-theta, sorted by position)
| d (Å) | two_theta | I (rel.) |
| --- | --- | --- |
| 5.812 | 15.2 | 323 |
| 4.089 | 21.7 | 466 |
| 3.483 | 25.6 | 340 |
| 3.033 | 29.5 | 541 |
| 2.944 | 30.4 | 942 |
| 2.731 | 32.8 | 1000 |
| 2.435 | 36.9 | 493 |
| 2.332 | 38.6 | 274 |
| 2.058 | 44.0 | 340 |
| 1.572 | 58.8 | 317 |

Crystal structure
a = 4.869 Å, b = 12.441 Å, c = 16.319 Å
α = 90.00°, β = 90.00°, γ = 90.00°
Space group Cmcm (No. 63)
Inequivalent atoms, fractional coordinates:
Na 0.000 0.195 0.085 x8
Tl 0.000 0.056 0.250 x4
Tl 0.000 0.115 0.603 x8
Tl 0.000 0.500 0.000 x4
Cd 0.000 0.300 0.750 x4
Pb 0.000 0.373 0.250 x4

(2)
The following is a computed powder X-ray diffraction pattern of Na2TlCdPb. It was derived from a crystal structure in Alexandria, relaxed with GGA-PBE, using a wavelength of 1.5418 Å.
No peak broadening, texture or thermal motion is included.

Peak list (10 most intense, 10 to 80 degrees two-theta, sorted by position)
| d (Å) | two_theta | I (rel.) |
| --- | --- | --- |
| 4.970 | 17.8 | 539 |
| 4.167 | 21.3 | 297 |
| 2.809 | 31.9 | 1000 |
| 2.623 | 34.2 | 821 |
| 2.604 | 34.4 | 275 |
| 1.923 | 47.3 | 174 |
| 1.911 | 47.6 | 254 |
| 1.547 | 59.8 | 220 |
| 1.507 | 61.5 | 152 |
| 1.410 | 66.3 | 149 |

Crystal structure
a = 3.261 Å, b = 5.207 Å, c = 16.670 Å
α = 90.00°, β = 90.00°, γ = 90.00°
Space group Imm2 (No. 44)
Inequivalent atoms, fractional coordinates:
Na 0.000 0.000 0.000 x2
Na 0.000 0.500 0.299 x2
Tl 0.000 0.000 0.416 x2
Cd 0.000 0.500 0.106 x2
Pb 0.000 0.500 0.694 x2

(3)
The following is a computed powder X-ray diffraction pattern of NaTl5CdPb2. It was derived from a crystal structure in Alexandria, relaxed with GGA-PBE, using a wavelength of 1.5418 Å.
No peak broadening, texture or thermal motion is included.

Peak list (10 most intense, 10 to 80 degrees two-theta, sorted by position)
| d (Å) | two_theta | I (rel.) |
| --- | --- | --- |
| 2.834 | 31.6 | 846 |
| 2.794 | 32.0 | 1000 |
| 2.724 | 32.9 | 493 |
| 2.550 | 35.2 | 314 |
| 2.148 | 42.1 | 185 |
| 1.862 | 48.9 | 234 |
| 1.687 | 54.4 | 216 |
| 1.593 | 57.9 | 177 |
| 1.586 | 58.2 | 182 |